torstai 29. tammikuuta 2015

Bali Diaries: Part 2 - Roots of culture

I was going through fb:s group for this local community in here and something in there caught my attention: There was a post where they were discussing about the foreigners who come here to Bali and want to live here permanently and there was a guy who came from the west and explained that it’s very hard to start anything legal here because the systems and laws are so complicated that it’s very hard for an outsider to grasp and then some local persons answer was that if the country and it’s customs do not please then please leave. You can see why the conversation didn’t seem to go anywhere. It seemed to me that that they were talking about completely different things. Other one was talking about many people wanting to stay in Bali and work and start businesses legally but find it too hard and give up eventually after maybe years of trial and error. The local man saw this as an attack against his culture and nation and started defending aggressively saying that those who want to live here must adjust to local society or basically get the fuck out. 

I saw also in some news that there was a situation in Denmark where some extremists were demanding that the local must change their values because they are simply wrong in their point of view.

I don’t want to get involved in any way to the debate of who should change their culture and who just adjust to what because I feel myself a bit of a stranger in any culture including “my own”. Some I can understand more easily than others because of my conditioning but I do not hold so firm belief as somebody coming from any specific culture. My feeling about it is that wherever I find myself in I’m in a way a guest passing through. I find it fun to observe any collective habits that people hold so dear. I mean it’s a wonderful play of diversity and contrast that is not in the end in anyway contradicting any other habits or beliefs that people lead their lives by. 

Now we must dive a little bit under the surface. I recall Terrence McKenna calling culture an operating system, just like in a computer you have a certain operating system that needs an update every now and then to keep up with the new technological inventions and all other variables, and that is what the human operating system truly is. It is a given set of beliefs and values that at the same time help us to operate very effectively in a one-minded state but when taken (as it has been) as an identity it leads into a funny situation that we often do things just because that’s the way it has been before instead of being fresh and seeing what would work the best at these given circumstances. So therefore we will have opposing habitual and unquestioned beliefs coming together where any sort of real meeting is not possible as human beings because we as people fail to see ourselves as anything other than our automatic and very robot-like reactions that are predetermined and coded in our system from very young age. Now being in that very confined space of living like a robot it feels very uncomfortable to have somebody questioning the very foundations on which the identity is built on. It starts shaking like a house of cards and when the ideals start to lose their ground then because the identity is so strong that the person cannot see himself as anything else than that conditioning they will feel as if they personally have been shaken and attacked hence the defence mechanism and closing down instead of embracing the joy of seeing the vastness of expression at display.

All cultural conflict comes from just a simple mistake that human consciousness easily makes. It’s the mistake of “I am this body, I am these thoughts and the emotions. This is my country, these are my people and my family” Instead of just the pure presence of “I am” that is unassociated with any culture or belief system seeing if something is needed but otherwise remaining empty. There is a reason for this clinging to habits. It’s very scary to stand on your own and especially not having the answers as a cane to lean on. You will feel very naked at first and a fear will arise but that is the only way to freedom. One must reclaim their own being back from merely cultural and social pre-determined behaviour. Then there is a more solid ground to stand on when a person starts to see himself as the presence instead of these patterns passed from generation to the next. Then even the culture is not a problem anymore. In fact you can have so much more fun with it because you don’t take it so seriously. You find yourself so free that you can even play along and you’ll start to see the real essence and beauty of the culture you are coming from. It’s not forced on you so you don’t have to belief in it if you don’t want to but you can even have a real pride for coming from certain background for you see the richness that it has brought to your experience. They all have wonderful creativity and beauty that is in tune with the local nature also and could not be possible in any other part of the earth. But still you see without a doubt that this is not all of you, it merely touches the surface of you. You cannot be confined in such a small category as culture and suddenly respectability doesn’t seem so appealing as before. You can go a little crazy and you can even make fun of your culture. It will not be such a big deal anymore and others making fun of your culture don’t look like attacks anymore.

I would never, just for example turn into a Balinese even if I tried my absolute best for the rest of my life to adjust and learn. I would always have my roots in Finland for my body, my nervous system, my mind has been growing in a different atmosphere even though it will adjust in time but I’m still always a guest on this earth and I can respect that any culture and people living in it have their own ways but I’m not so interested in people who carry their culture around as something more than a fun play. It gets too heavy after a while. I always find myself more attracted towards those who have gone beyond that. Who I can truly meet as something more than a product of their heritage and upbringing. Freedom in me greets the freedom in anyone who has got it. I will automatically find it more appealing and I feel more spaciousness and connectedness around those people. People who do not look me just as my appearance as my human self.

Let’s meet as presence.
I’m going to say it.. I usually don’t but…. oh, god.. here it goes:

+++
[1]
For Li2CeSmMo4O16, a GGA+U-relaxed structure gives the theoretical powder XRD pattern in this record (Cu Kα (λ = 1.5418 Å)).

Top 6 peaks for 10° ≤ 2θ ≤ 80°, low angle first:
(hkl), 2theta, I/Imax
1 0 1, 19.29, 32
1 1 2, 30.42, 100
2 0 0, 34.31, 18
2 2 0, 49.31, 19
2 0 4, 51.43, 34
1 3 2, 59.05, 31

Crystal structure
Cell: 5.2267 5.2267 9.6907 Å, 90.00 90.00 90.00°
Space group P-4 (No. 81)
Asymmetric unit:
Li 0.0000 0.5000 0.2503 x2
Ce 0.0000 0.0000 0.0000 x1
Sm 0.5000 0.5000 0.5000 x1
Mo 0.0000 0.0000 0.5000 x1
Mo 0.0000 0.5000 0.7486 x2
Mo 0.5000 0.5000 0.0000 x1
O 0.1780 0.6951 0.6012 x4
O 0.1899 0.3074 0.8950 x4
O 0.1898 0.7775 0.3504 x4
O 0.2826 0.3098 0.1532 x4

[2]
For CaFe2Si4O12, a GGA+U-relaxed structure gives the theoretical powder XRD pattern in this record (Cu Kα (λ = 1.5418 Å)).

Top 6 peaks for 10° ≤ 2θ ≤ 80°, low angle first:
(hkl), 2theta, I/Imax
1 1 0, 13.73, 56
0 2 0, 19.88, 50
2 2 -1, 29.60, 100
3 1 0, 30.42, 49
0 0 2, 35.17, 38
2 2 1, 35.84, 40

Crystal structure
Cell: 9.7718 8.9225 5.3400 Å, 90.00 107.15 90.00°
Space group C2 (No. 5)
Asymmetric unit:
Ca 0.0000 0.0000 0.0000 x2
Fe 0.0000 0.5847 0.0000 x2
Fe 0.0000 0.7876 0.5000 x2
Si 0.2087 0.2863 0.0138 x4
Si 0.2099 0.1075 0.5221 x4
O 0.1142 0.7801 0.8906 x4
O 0.1155 0.6245 0.3815 x4
O 0.1347 0.9448 0.4390 x4
O 0.1466 0.1776 0.7526 x4
O 0.1470 0.4531 0.9583 x4
O 0.1506 0.2006 0.2389 x4

[3]
For FeOF, a GGA+U-relaxed structure gives the theoretical powder XRD pattern in this record (Cu Kα (λ = 1.5418 Å)).

Top 6 peaks for 10° ≤ 2θ ≤ 80°, low angle first:
(hkl), 2theta, I/Imax
1 0 1, 19.99, 100
3 0 1, 32.91, 50
2 1 0, 34.53, 26
1 1 1, 35.54, 42
2 1 2, 50.73, 32
5 1 1, 59.14, 25

Crystal structure
Cell: 9.7397 3.0708 4.9914 Å, 90.00 90.00 90.00°
Space group Pnma (No. 62)
Asymmetric unit:
Fe 0.1567 0.2500 0.0241 x4
O 0.2284 0.7500 0.8308 x4
F 0.0320 0.7500 0.1931 x4

[4]
For Ca2FeP2O12, a GGA+U-relaxed structure gives the theoretical powder XRD pattern in this record (Cu Kα (λ = 1.5418 Å)).

Top 6 peaks for 10° ≤ 2θ ≤ 80°, low angle first:
(hkl), 2theta, I/Imax
0 0 1, 13.65, 82
0 1 -1, 23.38, 47
1 -1 0, 24.40, 77
0 1 2, 27.48, 52
1 1 2, 27.93, 100
1 2 0, 32.09, 56

Crystal structure
Cell: 5.7980 6.2035 6.9388 Å, 71.15 77.15 75.29°
Space group P-1 (No. 2)
Asymmetric unit:
Ca 0.1802 0.1991 0.2719 x2
Fe 0.5000 0.5000 0.5000 x1
P 0.2694 0.0697 0.7752 x2
O 0.0775 0.0825 0.6471 x2
O 0.1722 0.2014 0.9384 x2
O 0.2288 0.5774 0.6684 x2
O 0.2837 0.5280 0.3351 x2
O 0.3923 0.8168 0.8689 x2
O 0.4919 0.1727 0.6202 x2

[5]
For Li5Mn8B8O24, a GGA+U-relaxed structure gives the theoretical powder XRD pattern in this record (Cu Kα (λ = 1.5418 Å)).

Top 6 peaks for 10° ≤ 2θ ≤ 80°, low angle first:
(hkl), 2theta, I/Imax
0 2 -1, 19.68, 82
-1 1 1, 21.29, 46
1 1 -2, 21.52, 68
1 1 1, 25.50, 69
1 3 -2, 34.37, 38
0 0 4, 34.51, 100

Crystal structure
Cell: 5.3351 9.0248 11.5198 Å, 112.44 101.33 90.51°
Space group P1 (No. 1)
Asymmetric unit:
Li 0.0000 0.0000 0.0000 x1
Li 0.0598 0.3554 0.7430 x1
+++
• Back to the entry:


perjantai 16. tammikuuta 2015

Bali Diaries: part 1 - Fight within and diseases

I’m here in Bali. Writing this from my balcony by the riverside. It’s a real paradise but I have been feeling quite weak ever since I traveled here. (almost exactly 1 week ago) I seem to have energy only in short periods and after that I get flu-like symptoms and have to rest for most of the day in my air conditioned house. I had a period for about 1 day that I felt I was getting back to normal.. but nope, I’m even more tired now than before. 

I noticed from the period of having my strength back for a while that I felt like I was lost. I felt like I didn’t know what to do and actually I felt a little guilty not doing anything as one “should” do in a place like this.. There is simply so much possibilities. 

I went yesterday to the rice fields for a lunch and stayed in shadow like I have stayed this whole time. I haven’t really been into trying to get tan because I’m in here for almost 3 months so I don’t have any rush to get tanned to get people in Scandinavia envious. In the restaurant I saw a girl traveling clearly for a shorter holiday in Bali. My impression of her was fairly typical tourist impression. She seemed stressed in her appearance and she was fire-department-red for staying too long in the sun and yet she chose the place in the sun in her black top and shorts at the hottest time of the day and ordered a drink with ginger. I thought just “Wow.. that’s something..” She took out both her iPhone and iPad and started taking pictures of the surroundings, the foods and drinks that came to her. (probably face booking them too) It was just very interesting to watch somehow. It seemed like she was out on a power holiday to see and experience everything so at least she has some good stories to tell when she’s not here anymore and a skin cancer to remind her in her old days that she went to places. I imagine her getting a real nice photo-collection and saying to everyone who would ask “You have to experience bali at least once in your life!”. I giggle inside myself a little because I think I have used that phrase on someone and I have traveled also in this manner before.

Now it’s funny to see the contrast between the enthusiasm and sense of adventure that I have had before compared to now when I really just came to live here for a while and enjoy slow pace of life. It’s not just the outer travel that has calmed down recently but also the inner travel is not so extreme and crazy now. The addiction and thrill of energetic/spiritual experiences/knowledge and whatever interesting phenomena I have encountered on my way seems to be becoming more and more secondary. That’s why for me Ubud is the most interesting place to be for me at the moment. I can go to public sauna on the rice fields where all the new-ageys come after their hard day of yoga, crystal awakening ascension workshops or whatever they have. I went to the sauna few days ago and I went quite early so it wasn’t too crowded. It stated very clearly on the door “SILENCE!!!” and It felt such a nice place to be not having to talk to anyone and everyone was silent. Then in comes one yogi -girl who starts chanting very loudly and passionately “OM GAM GANAPATAYE NAMAHA!.” and another girl joins her as I’m going silently “Really? I mean Really?!..” Until a guy comes in very politely saying “Please, this is a silent are, you can sing beautiful songs but please do it outside, it’s a silent area.” Then they eventually stop clearly disappointed and one of the girl answers -Well, doesn’t the music also come from a space of silence” That’s when I felt like I must be in one of J P Sears’ videos and I felt that I could not decide what my reaction could be.. I felt like laughing and crying at the same time but mostly It was the ultimate moment of exhaustive sigh and a facepalm. I Could feel the same feelings of disbelief coming from the guy but he just clearly stated “No, We will not discuss philosophy about it.”

Why I mentioned that it’s probably the most interesting place for me is because I recognise myself in each of these characters and I do have compassion for it. I can see myself few years ago in both inner and outer travellers which doesn’t make a great difference in the end for both are in stress to find something to report and say “I found happiness and fulfilment here, I don’t feel separate anymore, I can finally accept myself”.

I started out talking about my body and how it doesn’t feel fully functional yet. I see that it’s actually very much needed just for myself to have an excuse to be still and relax, not to try to accomplish something. I am, I exist, I am here and now and there is nothing to do, there are no goals unless I choose so. Sometimes I just tend to forget that and start forcing myself and neglecting my true feelings. I’m actually quite content just going out couple of times per day to eat something good or have a nice massage. Yesterday I even got my first facial ever. Life is very simple at the moment and I needed physical weakness to allow myself not to feel bad about not doing much.

-See ya’ll later, Warm greetings from the Tropic.

My terrace -Ubud